Unwilling To Lose

" Didn't I say not to let me repeat it?!... Put me down right this instant or the outcome won't be to your liking." Her voice was laced with severe threat and warning.

If Wei still refused to obey her this time then this matter wouldn't have a good ending!

However, despite knowing all this Wei seemed still hesitant.

He was very wary of the fact that Jiang Ying Yue had disappeared into thin air time and time again under his strict watch.

And every time the girl disappeared she didn't even leave behind any traces. It was as if from the beginning, her existence and her presence were all a mere illusion. The moment you turned your gaze she'll crumble into dust or evaporate into mist and disappear forever.

As if nothing could bind her, nothing could restrict her. The way she gave off detached and distant feelings despite being so close made Wei utterly uneasy.

Wei had been observing her for a while and he had always been very accurate. And that was why her sudden disappearance always made him uncomfortable, forcing him to lose control. The emotions that he had long given up on somehow started to stir in the calm bottom. And this unfamiliar feeling...

This feeling...he didn't like it at all.

Wei's deep pool-like gaze studied the girl's lipid eyes carefully before saying, " Don't you want to go back? Your sister is waiting for you. I will carry you there, that'll be swifter. Besides, the ground is too cold, you'll get sick."

Wei, who rarely spoke, said so much and said it too nicely just so that the girl would agree to his request of carrying her around.

He knew his request was presumptuous and crossing the boundary, but he didn't dare to let her go.

Furthermore, it wasn't the first time they had such close contact with each other.....wait.

Wei suddenly widened his eyes in disbelief, remembering the soft touch on his lips earlier.

" Put me down, I am not going." Now that Wei mentioned her sister, Jiang Ying Yue felt another headache.

This system thing was not reliable at all, it should have at least found some time to give her a heads-up previously before making a move.

Now, she was very certain, her sister and maids might be huddled together wiping their tears and snot while looking for her everywhere.

With these thoughts in her mind that she didn't even notice the strange look on the man's face. She wriggled in his arms trying to get on her feet, " You go back and tell them that I am alive and well...oh...and I'll be back later..."

As for when this later was she had no idea herself. Now she could only come up with something and force them to make do with this.

However, why wasn't this man responding?....

Jiang Ying Yue turned her gaze and it instantly collided with Wei's deep and scorching one making her strangely feel uneasy, " Wh.. what are you looking at?... Did you hear what I just said?!"

Wei's heart which had been like a thousand-year frozen lake couldn't help skipping a beat when he saw her cherry-like fluttering mouth.

That tender and warm feeling....he was certain it wasn't just a dream. He could still taste her lingering breath and sweetness in his mouth. Although just a trace of it remained, to a person who had been going through years of bitterness it was equivalent to a large vat of honey.

He wasn't impulsive but this time he couldn't help asking for more, " You kissed me?"

This was a question but the tone of it was very certain.

Jiang Ying Yue blinked twice before registering the question after which she immediately denied, " No, I didn't!"

' Are you kidding me?!... I would never admit to this even if you beat me to death!!'

' Who doesn't know ancient people are so troublesome!"

She seemed to be completely erased the memories from her mind when both of them had seen each other half-naked.

Wei who had been waiting for the answer in fear and anticipation suddenly speechless and stunned.

This was blatant lying!

And that was not all...the way she didn't even bat an eye while doing so gave him another level of speechlessness.

He knew he had been rash in asking her this so openly but shouldn't this girl feel a bit abashed facing such a bold and embarrassing question?

Why was it that he never knew this little girl could be this shameless?....

Or...was it because she didn't see him as a man at all?!

This question seemed to burn his sanity, " You did and I can still feel your taste in my mouth!"

This time it was the other party's turn to get speechless.

Where did this hooligan come from?!

" Nonsense, stop slandering me!!"

But....why did she sound like a scumbag who was refusing to take responsibility after sleeping?....

However, no matter what she couldn't back down because now it would be too.... embarrassing, " It's you...yes, you must be having a wet dream while you were still unconscious earlier."

A storm seemed to be brewing in Wei's deep eyes as he kept staring at the girl as if she was his prey.....

He didn't understand why he was feeling this way....he couldn't come up with an explanation.

But....at this moment he felt like ravaging her small, tender mouth that kept mumbling nonsense.

However, Jiang Ying Yue, who was the prey wasn't aware of the oncoming danger and kept pressing on, " If you are so thirsty and unable to control your urges, as your master it's my responsibility to fulfil your needs and wishes. Don't worry when we return capital I'll find you a bevvy of beauties and you can choose one and get married--"

This last sentence seemed to be the last stroke that broke the camel's back.

Jiang Ying Yue's mind exploded as she felt that sudden familiar cool touch on her lips.

Her mind buzzed in the same way it did previously, however, the intensity this time was a hundredfold.

........
This record from the Alexandria database describes a relaxed structure of Mg2NpCo9. The functional is PBE.

a = 4.8414 Å, b = 4.8414 Å, c = 23.6409 Å
α = 90.00°, β = 90.00°, γ = 120.00°
Space group R-3m (No. 166, hexagonal axes)
Symmetry-distinct sites (fractional):
Mg1 0.0000 0.0000 0.1439 [6 per cell]
Np1 0.0000 0.0000 0.0000 [3 per cell]
Co1 0.0000 0.0000 0.3355 [6 per cell]
Co2 0.0000 0.0000 0.5000 [3 per cell]
Co3 0.0062 0.5031 0.9156 [18 per cell]

Calculated values
V: 479.9 Å³ per cell
ΔH_f (0 K): -38 kJ/mol of formula units
E_tot: -6.71 eV per atom

***

This record from the Alexandria database describes a relaxed structure of BaYGe2. The functional is PBE.

a = 4.7530 Å, b = 4.7530 Å, c = 19.1205 Å
α = 90.00°, β = 90.00°, γ = 120.00°
Space group R-3m (No. 166, hexagonal axes)
Symmetry-distinct sites (fractional):
Ba1 0.0000 0.0000 0.0000 [3 per cell]
Y1 0.0000 0.0000 0.5000 [3 per cell]
Ge1 0.0000 0.0000 0.2228 [6 per cell]

Calculated values
V: 374.1 Å³ per cell
ΔH_f (0 K): -170 kJ/mol of formula units
E_tot: -4.84 eV per atom
E above lowest polymorph: 0 meV per atom

***

This record from the Alexandria database describes a relaxed structure of HfNpO5. The functional is PBE.

a = 3.886 Å, b = 6.641 Å, c = 8.106 Å
α = 90.00°, β = 90.00°, γ = 90.00°
Space group Immm (No. 71)
Symmetry-distinct sites (fractional):
Hf1 0.000 0.000 0.000 [2 per cell]
Np1 0.000 0.000 0.500 [2 per cell]
O1 0.000 0.000 0.270 [4 per cell]
O2 0.000 0.313 0.000 [4 per cell]
O3 0.000 0.500 0.500 [2 per cell]

Calculated values
raw formation energy: -20.723 eV per formula unit
V: 209.2 Å³ per cell
E_tot: -9.77 eV per atom

***

This record from the Alexandria database describes a relaxed structure of RbZrTe2H. The functional is PBE.

a = 7.790 Å, b = 4.145 Å, c = 10.054 Å
α = 90.00°, β = 107.77°, γ = 90.00°
Space group P2_1/m (No. 11)
Symmetry-distinct sites (fractional):
Rb1 0.153 0.250 0.301 [2 per cell]
Zr1 0.347 0.250 0.831 [2 per cell]
Te1 0.267 0.750 0.015 [2 per cell]
Te2 0.331 0.750 0.630 [2 per cell]
H1 0.088 0.250 0.780 [2 per cell]

Calculated values
V: 309.1 Å³ per cell
E_tot: -4.60 eV per atom

***

This record from the Alexandria database describes a relaxed structure of Zr3InTe6. The functional is PBE.

a = 12.613 Å, b = 3.977 Å, c = 12.889 Å
α = 90.00°, β = 107.59°, γ = 90.00°
Space group P2_1/m (No. 11)
Symmetry-distinct sites (fractional):
Zr1 0.017 0.250 0.136 [2 per cell]
Zr2 0.206 0.250 0.775 [2 per cell]
Zr3 0.354 0.750 0.460 [2 per cell]
In1 0.391 0.750 0.115 [2 per cell]
Te1 0.045 0.750 0.665 [2 per cell]
Te2 0.151 0.250 0.981 [2 per cell]
Te3 0.177 0.750 0.251 [2 per cell]
Te4 0.254 0.250 0.561 [2 per cell]
Te5 0.379 0.750 0.861 [2 per cell]
Te6 0.452 0.250 0.350 [2 per cell]

Calculated values
raw formation energy: -7.328 eV per formula unit
V: 616.4 Å³ per cell
E_tot: -5.46 eV per atom

***

This record from the Alexandria database describes a relaxed structure of Tm3Tl4SbTe8. The functional is PBE.
........

The warm breath mingled with his cool touch sent an unfamiliar shiver through her spine she couldn't help moaning.

Her voice now was extremely soft, waxy and coquettish, seductive to its core that Wei found it too unbearable to leave.

He kept lowering his head, leaning in to keep enjoying that soft touch...however, that was all he did. Appearing as if he had no idea or knowledge of how to continue.

Jiang Ying Yue who was still in a muddled state, torn between embarrassment and unfamiliar thrill seemed to have found a breakthrough.

No, she couldn't let this continue!

There was no way in ten thousand years she would lose to this 'ancient' being!!

Reaching out her hands she looped them around Wei's neck seductively closing the distance between them.

With their lips still plastered she commanded domineeringly through breath, " You're still a noob. Let this sister teach you what real kissing is."

She was forceful and overbearing when it came to conquering the new domain.

She didn't shy away or feel bashful as she charged forward valiantly.

It first started with a bit of overbearing and painful sucking then it turned into gentle and delicate smooches.

When Wei felt himself drowning in her tender affection and gentleness he abruptly felt a sharp pain. He let out a hiss giving the girl an opportunity to plunder further into his territory.

The moment the soft yet agile tongues collided he felt another wave of thrill.

Jiang Ying Yue was a bit clumsy at the beginning, however, one shouldn't ignore the fact that she was a citizen of the twenty-first century.

You haven't played before didn't mean that you didn't know the rules.

With every tug on his tongue, he felt the strings in his heart-tugging. His breath hitched and gradually turned heavy as his eyes grew scarlet with lust.

Wei couldn't help wondering.....was the fact that he had lost all his desires and emotions just a big joke?!

In the beginning, it was only Jiang Ying Yue who was doing all the work sending Wei to unfamiliar heights of pleasure and thrill. However, Wei, who gradually got the gist of this soon started to reciprocate the gesture.

Tongues rolled, collided and tugged on each other savouring every bit of its taste. The two were so engrossed in this heated kiss that seemed to have forgotten the spat from earlier.

Abhram, who had taken the chance to hide far away somewhere held his forehead not daring to look.

This.....if the outcome was supposed to be kissing, then what hell were they arguing for?!

Previously, Abhram had thought that this Wei guy was a good catch. His master, who was like an untouchable cloud soaring up in the sky far from worldly matters needed someone to tug her down and let her feel a sense of belonging. So that now and then she wouldn't have the idea of leaving this world and returning to her home planet.

Now it looked like he had put too much hope in this man.

This man was very capable of leading his master astray!

Should he find a chance to replace him.....but where could he find that calibre of man.

" Hmm....now you know what a real kiss is?" Jiang Ying Yue smirked in satisfaction, caressing her masterpiece.

" Hmm...." This time Wei didn't argue back and nodded humbly. He was still savouring the taste that lingered in his mouth.

After this the only thing left was dead silence.

Now that deed was already done and her rationality gradually sank in, Jiang Ying Yue couldn't help feeling embarrassed.

She hurriedly tilted her head sideways trying to hide the blush on her fair cheeks, " Ahem....you should go back now. Tell my sister and maids that it might take me a few days but I'll go back before the end of the month."

That was the day they decided on returning to the capital.

Wei frowned slightly seeing that the girl seemed to have made her plans. However, he couldn't obey her and leave her alone. After some hesitation and thinking he finally spoke, " How about I accompany you?.... Just take it as me tagging along, I won't hinder you... You have my assurance!" He added hastily.

Jiang Ying Yue didn't agree to his request immediately and instead asked, " What about my sister? Who's looking after them?"

Although there were also Tian and others she still took them as outsiders. As for Wei, who had barged into her life all of a sudden she subconsciously took him as her own.

It was a fact that even she was unaware of.

" Don't worry, I have someone reliable protecting them."

Wei responded promptly.

Someone reliable?.... Jiang Ying Yue raised her brows slightly but didn't ask more.

If Wei said that the man was reliable then he must be reliable. Anyway, she owed him this one and she would find a chance to pay him back. After all, nothing in this world should be taken for granted, everything single thing came with a price tag.

Just because she saved him once....oh, twice, she couldn't keep him as her eternal slave.

" Alright, you can follow me." Since the needed help had come knocking on her door she didn't want to be hypocritical.

Now she still had the task on her hand and her two little helpers....forget it!...

Her heart, liver, lungs everything ached just thinking about them.

And the system didn't mention that she couldn't use other assistance besides them, right?

Oh....by the way, what was the penalty for the task failure?....the system didn't seem to have mentioned it.

What an unreliable system!!...

Wei's eyes seemed to have brightened when he heard her acquiesce to his request. He subconsciously held her tighter.

"Wei, let's find a place to rest for the night." Jiang Ying Yue looked at the sky which seemed to be still darker than the raven's feathers.

It seemed like there were still quite a few hours to go before daybreak.

Wei was swift as always holding the little girl in his arms he disappeared without leaving behind any trace.

Abhram was dumbfounded. They just abandoned him just like that. His adorable eyes instantly turned pitiful as he surveyed the surrounding.

Gone....just gone like that!


His cry stopped abruptly as his eyes caught the countless strange mounds lining up in the vicinity.

This....this pervert!

He hadn't forgotten to capture these beasts while having the time of his life.

Was he afraid that they would interrupt him?!

Poor beasts....stuffed with unwanted dog food!

Abhram couldn't help praying for their pitiful departed soul.